-- To do --
Count the lines below that contain the word "O1" and give the number alone.

-- Source --
-- begin --
No. 1
Density functional theory data (wB97M-V/def2-TZVPD) for a structure of composition C3H4LiNaO5.

Its total charge is 0. The calculation puts the frontier orbital gap at 6.7 eV.

Atoms and positions in Å:
C1 0.71822 -0.48546 -2.38073
C2 0.99349 0.96577 -2.70955
O1 1.65606 1.30636 -3.65812
O2 -0.16341 -0.64571 -1.30016
H1 1.67681 -0.94912 -2.09977
H2 0.35159 -0.99932 -3.28323
H3 0.56414 1.70766 -1.99661
Na1 0.16321 -1.09935 1.06023
O3 -1.90870 -0.09485 2.06519
C3 -1.30386 -0.00697 3.17896
O4 -0.05118 -0.40647 3.23569
O5 -1.77851 0.54737 4.22461
Li1 0.16380 0.53165 5.15316
H4 -1.08166 -0.37155 -1.48967


No. 2
Density functional theory data (wB97M-V/def2-TZVPD) for a structure of composition C3H4MgO2.

Its total charge is 0. The calculation puts the frontier orbital gap at 8.6 eV.

Atoms and positions in Å:
C1 1.30740 -0.01292 -0.95656
C2 0.89933 -0.43702 -2.16825
O1 -0.53934 -0.85726 2.24793
C3 -1.45344 -0.15320 2.72291
O2 -1.62784 0.91252 1.78095
H1 2.40091 -0.06298 -0.82396
H2 1.59219 -0.67146 -2.98872
H3 -2.39315 1.46466 1.96682
Mg1 -0.00718 0.30952 0.63677
H4 -0.17888 -0.49187 -2.41790


No. 3
Density functional theory data (wB97M-V/def2-TZVPD) for a structure of composition C3H4MgO4Sm.

Its total charge is +1. The calculation puts the frontier orbital gap (spin up / spin down) at 1.4 / 5.3 eV. The spin multiplicity is 8.

Atoms and positions in Å:
O1 -3.46183 2.40420 1.99176
C1 -3.24640 1.20997 1.44465
O2 -3.72669 0.07173 2.08150
C2 -5.01445 0.19387 2.75158
Mg1 -4.92918 2.25406 3.22170
H1 -0.16058 0.63862 0.90832
H2 -4.99598 -0.55177 3.56013
H3 -5.79524 -0.13466 2.03937
H4 -2.71557 1.02624 0.50072
O3 1.40378 -0.76357 0.55704
C3 0.98219 0.42318 0.67017
O4 1.80402 1.37508 0.53634
Sm1 3.59358 -0.07542 0.16584


No. 4
Density functional theory data (wB97M-V/def2-TZVPD) for the molecule C3H4N2.

Its total charge is 0. The calculation puts the frontier orbital gap at 9.9 eV. The structure (SMILES) is c1c[nH]cn1.

Atoms and positions in Å:
C1 0.90682 0.56277 0.43139
C2 -0.34721 0.49399 0.97112
N1 -1.05219 -0.32383 0.12015
C3 -0.21366 -0.66433 -0.89682
N2 0.95482 -0.09530 -0.77851
H1 1.67405 1.27550 0.69417
H2 -0.73639 0.86299 1.89665
H3 -1.87753 -0.85391 0.34009
H4 -0.50335 -1.40102 -1.59355


No. 5
Density functional theory data (wB97M-V/def2-TZVPD) for the molecule C3H4N2.

Its total charge is 0. The calculation puts the frontier orbital gap at 10.9 eV. The structure (SMILES) is C1=NN=CC1.

Atoms and positions in Å:
C1 0.02524 1.12619 0.32027
N1 0.42335 1.26771 -0.90970
N2 0.50798 -0.01735 -1.54372
C2 0.02521 -0.88290 -0.68947
C3 -0.25411 -0.30319 0.60435
H1 -0.01220 1.88768 1.06265
H2 -0.07715 -1.88038 -1.13268
H3 0.62188 -0.71959 1.25401
H4 -1.26020 -0.47819 1.03429


No. 6
Density functional theory data (wB97M-V/def2-TZVPD) for the molecule C3H4N2.

Its total charge is 0. The calculation puts the frontier orbital gap at 8.4 eV.

Atoms and positions in Å:
N1 0.43008 0.19479 1.96628
C1 -0.59895 -0.05110 -1.74964
N2 0.42962 -0.97147 -1.57684
C2 0.39394 -0.33918 -0.43272
C3 0.76784 0.13451 0.70252
H1 1.01299 0.68694 2.62534
H2 -0.40747 -0.23679 2.34259
H3 -0.40002 0.98211 -2.02336
H4 -1.62803 -0.39981 -1.85418


No. 7
Density functional theory data (wB97M-V/def2-TZVPD) for a structure of composition C3H4N2.

Its total charge is 0. The calculation puts the frontier orbital gap at 9.7 eV.

Atoms and positions in Å:
C1 0.83988 -0.83049 0.17004
C2 1.02358 0.55515 0.01060
N1 -0.41817 -1.09537 0.55601
N2 -1.88554 0.67882 -0.35213
C3 -0.94182 0.04066 0.10390
H1 -2.70764 0.13280 -0.61170
H2 1.53699 -1.63485 -0.04839
H3 0.83695 1.17290 0.88144
H4 1.71577 0.98038 -0.70979


No. 8
Density functional theory data (wB97M-V/def2-TZVPD) for the molecule C3H4N2O.

Its total charge is 0. The calculation puts the frontier orbital gap at 9.6 eV. The structure (SMILES) is Oc1c[nH]cn1.

Atoms and positions in Å:
O1 2.31241 -0.37835 -0.04169
C1 0.94765 -0.32025 -0.05869
C2 -0.12555 -1.18260 -0.16912
N1 -1.36857 -0.23039 -0.01472
-- stop --

-- Reply --
4